Listing >
~~~
An optimized crystal structure of Li5V5Ni2O12. Source: the Alexandria database, functional PBE+U.

Cell and atoms, written as POSCAR:
```
Li5V5Ni2O12
1.0
-5.0415 0.4661 1.0147
3.2884 -1.1796 3.8024
0.6875 9.2598 3.4123
O Li Ni V
12 5 2 5
Direct
0.7721 0.9450 0.3773
0.9443 0.7866 0.8814
0.0550 0.2279 0.6227
0.6382 0.1511 0.8794
0.3707 0.8459 0.6267
0.4681 0.2847 0.3753
0.5477 0.7304 0.1173
0.2696 0.4523 0.8827
0.2134 0.0557 0.1186
0.7153 0.5319 0.6247
0.8489 0.3618 0.1206
0.1541 0.6293 0.3733
0.1505 0.3125 0.2647
0.6875 0.8495 0.7353
0.8411 0.6636 0.2633
0.0822 0.9178 0.5000
0.3364 0.1589 0.7367
0.2438 0.7562 0.0000
0.7562 0.2438 0.5000
0.4876 0.9974 0.2594
0.4264 0.5736 0.5000
0.5748 0.4252 0.0000
0.9135 0.0865 0.0000
0.0026 0.5124 0.7406
```

Properties
The calculation puts the final energy at -6.554 eV/atom.

----------

(1)
# PBE-GGA NdMgPt2, relaxed
# * DFT formation energy: -0.948 eV per atom
# * mass density: 11.03 Mg/m³
# * total moment: 0.0 μB per formula unit
data_NdMgPt2
_chemical_formula_sum 'Nd4 Mg4 Pt8'
_cell_length_a 6.806
_cell_length_b 6.906
_cell_length_c 7.161
_cell_angle_alpha 90.00
_cell_angle_beta 90.00
_cell_angle_gamma 90.00
_space_group_name_H-M_alt 'P 1'
_space_group_IT_number 1
loop_
_space_group_symop_operation_xyz
'x,y,z'
loop_
_atom_site_label
_atom_site_fract_x
_atom_site_fract_y
_atom_site_fract_z
Nd1 0.317 0.250 0.016
Nd2 0.817 0.750 0.484
Nd3 0.683 0.750 0.984
Nd4 0.183 0.250 0.516
Mg1 0.683 0.250 0.390
Mg2 0.183 0.750 0.110
Mg3 0.317 0.750 0.610
Mg4 0.817 0.250 0.890
Pt1 0.951 0.046 0.196
Pt2 0.451 0.954 0.304
Pt3 0.049 0.546 0.804
Pt4 0.549 0.454 0.696
Pt5 0.049 0.954 0.804
Pt6 0.549 0.046 0.696
Pt7 0.951 0.454 0.196
Pt8 0.451 0.546 0.304

---

(2)
# PBE-GGA Ba3GaAg3, relaxed
# * offset from the most stable computed form: 1.11 eV/f.u.
# * DFT formation energy: -0.121 eV per atom
# * mass density: 4.74 Mg/m³
# * total moment: 0.0 μB per formula unit
data_Ba3GaAg3
_chemical_formula_sum 'Ba6 Ga2 Ag6'
_cell_length_a 6.789
_cell_length_b 9.798
_cell_length_c 9.798
_cell_angle_alpha 120.00
_cell_angle_beta 90.00
_cell_angle_gamma 90.00
_space_group_name_H-M_alt 'P 1'
_space_group_IT_number 1
loop_
_space_group_symop_operation_xyz
'x,y,z'
loop_
_atom_site_label
_atom_site_fract_x
_atom_site_fract_y
_atom_site_fract_z
Ba1 0.750 0.701 0.634
Ba2 0.750 0.366 0.067
Ba3 0.750 0.933 0.299
Ba4 0.250 0.299 0.366
Ba5 0.250 0.634 0.933
Ba6 0.250 0.067 0.701
Ga1 0.250 0.667 0.333
Ga2 0.750 0.333 0.667
Ag1 0.250 0.689 0.612
Ag2 0.250 0.388 0.077
Ag3 0.250 0.923 0.311
Ag4 0.750 0.311 0.388
Ag5 0.750 0.612 0.923
Ag6 0.750 0.077 0.689

---

(3)
# PBE-GGA Y6Mg2NO, relaxed
# * raw total energy: -6.503 eV per atom
# * mass density: 4.40 Mg/m³
# * total moment: 0.0 μB per formula unit
data_Y6Mg2NO
_chemical_formula_sum 'Y6 Mg2 N1 O1'
_cell_length_a 6.889
_cell_length_b 6.889
_cell_length_c 6.890
_cell_angle_alpha 60.00
_cell_angle_beta 60.00
_cell_angle_gamma 90.00
_space_group_name_H-M_alt 'P 1'
_space_group_IT_number 1
loop_
_space_group_symop_operation_xyz
'x,y,z'
loop_
_atom_site_label
_atom_site_fract_x
_atom_site_fract_y
_atom_site_fract_z
Y1 0.252 0.252 0.495
Y2 0.748 0.748 0.000
Y3 0.252 0.748 0.000
Y4 0.748 0.252 0.000
Y5 0.252 0.252 0.000
Y6 0.748 0.748 0.505
Mg1 0.750 0.250 0.500
Mg2 0.250 0.750 0.500
N1 0.500 0.500 0.000
O1 0.000 0.000 0.000

---

(4)
# PBE-GGA Ba2ScTi, relaxed
# * offset from the most stable computed form: 0.50 eV/f.u.
# * DFT formation energy: 0.892 eV per atom
# * mass density: 4.15 Mg/m³
# * total moment: 3.0 μB per formula unit
data_Ba2ScTi
_chemical_formula_sum 'Ba4 Sc2 Ti2'
_cell_length_a 9.346
_cell_length_b 9.346
_cell_length_c 7.417
_cell_angle_alpha 50.95
_cell_angle_beta 50.95
_cell_angle_gamma 90.00
_space_group_name_H-M_alt 'P 1'
_space_group_IT_number 1
loop_
_space_group_symop_operation_xyz
'x,y,z'
loop_
_atom_site_label
_atom_site_fract_x
_atom_site_fract_y
_atom_site_fract_z
Sc1 0.500 0.500 0.000
Sc2 0.250 0.750 0.500
Ba1 0.638 0.125 0.250
Ba2 0.112 0.625 0.250
~~~

Request >
Your job: count the lines above that contain the word "Ga2" and give the number alone.

Outcome >
2